_What to do_
Return everything underneath word for word, please.

_Contents_
********
ORCA calculation (wB97M-V/def2-TZVPD) on an isolated ion of composition C5H11N and charge +1 in a non-equilibrium geometry.

Results
ΔE to the lowest compared entry with this formula, charge and spin = 58.9 kcal/mol
Net charge = +1
Orbital gap (alpha / beta) = 10.408 / 5.431 eV
LUMO (alpha / beta) = -3.3 / -8.2 eV
HOMO (alpha / beta) = -13.74 / -13.66 eV
Spin multiplicity = 2

```
17
C5H11N | the OMol25 dataset | wB97M-V/def2-TZVPD
C 2.29774 0.74447 0.42864
N 0.91605 0.98273 0.08134
C 0.40555 0.10718 -0.97731
C -1.13346 -0.04697 -0.97997
C -1.77736 -0.69447 0.21502
C -1.24205 -1.33216 1.27156
H 2.52991 1.29022 1.35225
H 2.37897 -0.32427 0.63837
H 3.03089 1.10280 -0.31418
H 0.71923 1.95237 -0.18381
H 0.74729 0.67790 -1.85556
H 0.80329 -0.89922 -0.87789
H -1.48528 1.01182 -0.89061
H -1.46622 -0.48034 -1.90681
H -2.83174 -0.90730 0.03411
H -0.22249 -1.03919 1.52908
H -1.92721 -1.88279 1.90393
```

***

ORCA calculation (wB97M-V/def2-TZVPD) on an isolated ion of composition C5H10NO2 and charge -1 in a non-equilibrium geometry.

Results
ΔE to the lowest compared entry with this formula, charge and spin = 71.1 kcal/mol
Net charge = -1
Orbital gap = 6.576 eV
LUMO = 4.2 eV
HOMO = -2.41 eV

```
18
C5H10NO2 | the OMol25 dataset | wB97M-V/def2-TZVPD
N -0.73187 1.67760 -1.62250
C -0.02883 0.85876 -0.66695
C 0.05470 -0.62667 -0.99913
C 0.55452 -1.56744 0.17334
C 0.68011 -0.89710 1.53783
O 0.68136 0.51813 1.54079
C -0.53197 1.07726 0.97671
O -1.67798 0.72597 1.41659
H -1.69246 1.44725 -1.83035
H -0.18738 1.89082 -2.43207
H 0.98084 1.23260 -0.49684
H 0.53982 -0.95234 -1.92631
H -0.99564 -0.95463 -1.04994
H 1.54264 -1.88788 -0.17963
H -0.13213 -2.40398 0.28701
H 1.51250 -1.10922 2.21233
H -0.20384 -1.21047 2.11680
H -0.36440 2.18133 0.94234
```

* * * * *

# 1
C19H14FNO3 | ωB97M-V/def2-TZVPD

Each line ends with the natural charge from an NBO analysis.
Element x y z (Å)
F 4.44 3.76 -1.41  -0.328
C 3.98 2.48 -1.20  0.375
C 4.93 1.47 -1.37  -0.220
C 4.47 0.16 -1.20  -0.208
C 3.14 -0.10 -0.99  -0.132
C 2.13 0.90 -1.00  -0.135
C 0.78 0.36 -1.12  0.224
C -0.43 1.19 -1.20  -0.178
C -1.67 0.50 -1.13  -0.130
C -2.89 1.16 -1.15  -0.217
C -2.94 2.56 -1.32  -0.162
C -1.73 3.27 -1.40  -0.240
C -0.49 2.60 -1.35  -0.104
C 2.62 2.24 -0.91  -0.215
H 5.97 1.68 -1.64  0.244
H 5.16 -0.67 -1.28  0.228
H 2.77 -1.10 -0.79  0.246
H 0.72 -0.48 -1.83  0.238
H -1.62 -0.58 -1.02  0.232
H -3.81 0.57 -1.07  0.228
H -3.91 3.04 -1.46  0.225
H -1.78 4.36 -1.55  0.225
H 0.40 3.20 -1.45  0.203
H 2.04 3.11 -0.58  0.239
O -2.66 -0.39 4.11  -0.383
N -2.77 -1.61 3.87  0.494
O -3.54 -2.36 4.51  -0.391
C -2.00 -2.22 2.79  0.084
C -2.21 -3.58 2.51  -0.244
C -1.55 -4.13 1.41  -0.222
C -0.62 -3.36 0.69  -0.256
C -0.30 -1.93 0.93  0.359
O 0.53 -1.20 0.26  -0.699
C -1.16 -1.42 2.01  -0.290
H -2.92 -4.12 3.13  0.246
H -1.79 -5.18 1.17  0.224
H -0.10 -3.81 -0.15  0.207
H -1.18 -0.35 2.17  0.236

Calculated values
- Electronic energy: -1112.54543 Eh
- Max |F|: 4.29 eV/A
- Total charge: 0
- ΔE to the lowest compared entry with this formula, charge and spin: 58.2 kJ/mol
- Highest occupied orbital energy: -7.786 eV


# 2
C19H14O2OsPSe4 | ωB97M-V/def2-TZVPD

Each line ends with the natural charge from an NBO analysis.
Element x y z (Å)
Os -1.73 -1.41 1.67  0.294
O -4.20 -0.78 -1.43  -0.494
C -3.10 -1.04 -1.05  0.779
O -3.00 -1.53 0.25  -0.725
C -1.89 -0.93 -1.90  -0.167
C -2.11 -1.08 -3.27  -0.135
C -1.07 -0.99 -4.17  -0.175
C 0.21 -0.73 -3.72  -0.194
C 0.45 -0.55 -2.37  -0.128
C -0.59 -0.67 -1.44  -0.381
P -0.25 -0.28 0.29  1.174
C -0.39 1.52 0.39  -0.433
C 0.67 2.33 -0.02  -0.181
C 0.53 3.71 -0.03  -0.197
C -0.68 4.28 0.36  -0.165
C -1.74 3.48 0.74  -0.216
C -1.60 2.10 0.76  -0.115
C 1.45 -0.75 0.62  -0.428
C 1.95 -1.94 0.09  -0.140
C 3.22 -2.38 0.45  -0.217
C 3.99 -1.65 1.34  -0.171
C 3.48 -0.48 1.89  -0.199
C 2.22 -0.03 1.54  -0.197
H -3.12 -1.27 -3.60  0.251
H -1.26 -1.13 -5.23  0.236
H 1.03 -0.64 -4.42  0.233
H 1.45 -0.32 -2.03  0.217
H 1.61 1.89 -0.34  0.224
H 1.35 4.33 -0.34  0.232
********

_Result_
ORCA calculation (wB97M-V/def2-TZVPD) on an isolated ion of composition C5H11N and charge +1 in a non-equilibrium geometry.

Results
ΔE to the lowest compared entry with this formula, charge and spin = 58.9 kcal/mol
Net charge = +1
Orbital gap (alpha / beta) = 10.408 / 5.431 eV
LUMO (alpha / beta) = -3.3 / -8.2 eV
HOMO (alpha / beta) = -13.74 / -13.66 eV
Spin multiplicity = 2

```
17
C5H11N | the OMol25 dataset | wB97M-V/def2-TZVPD
C 2.29774 0.74447 0.42864
N 0.91605 0.98273 0.08134
C 0.40555 0.10718 -0.97731
C -1.13346 -0.04697 -0.97997
C -1.77736 -0.69447 0.21502
C -1.24205 -1.33216 1.27156
H 2.52991 1.29022 1.35225
H 2.37897 -0.32427 0.63837
H 3.03089 1.10280 -0.31418
H 0.71923 1.95237 -0.18381
H 0.74729 0.67790 -1.85556
H 0.80329 -0.89922 -0.87789
H -1.48528 1.01182 -0.89061
H -1.46622 -0.48034 -1.90681
H -2.83174 -0.90730 0.03411
H -0.22249 -1.03919 1.52908
H -1.92721 -1.88279 1.90393
```

***

ORCA calculation (wB97M-V/def2-TZVPD) on an isolated ion of composition C5H10NO2 and charge -1 in a non-equilibrium geometry.

Results
ΔE to the lowest compared entry with this formula, charge and spin = 71.1 kcal/mol
Net charge = -1
Orbital gap = 6.576 eV
LUMO = 4.2 eV
HOMO = -2.41 eV

```
18
C5H10NO2 | the OMol25 dataset | wB97M-V/def2-TZVPD
N -0.73187 1.67760 -1.62250
C -0.02883 0.85876 -0.66695
C 0.05470 -0.62667 -0.99913
C 0.55452 -1.56744 0.17334
C 0.68011 -0.89710 1.53783
O 0.68136 0.51813 1.54079
C -0.53197 1.07726 0.97671
O -1.67798 0.72597 1.41659
H -1.69246 1.44725 -1.83035
H -0.18738 1.89082 -2.43207
H 0.98084 1.23260 -0.49684
H 0.53982 -0.95234 -1.92631
H -0.99564 -0.95463 -1.04994
H 1.54264 -1.88788 -0.17963
H -0.13213 -2.40398 0.28701
H 1.51250 -1.10922 2.21233
H -0.20384 -1.21047 2.11680
H -0.36440 2.18133 0.94234
```

* * * * *

# 1
C19H14FNO3 | ωB97M-V/def2-TZVPD

Each line ends with the natural charge from an NBO analysis.
Element x y z (Å)
F 4.44 3.76 -1.41  -0.328
C 3.98 2.48 -1.20  0.375
C 4.93 1.47 -1.37  -0.220
C 4.47 0.16 -1.20  -0.208
C 3.14 -0.10 -0.99  -0.132
C 2.13 0.90 -1.00  -0.135
C 0.78 0.36 -1.12  0.224
C -0.43 1.19 -1.20  -0.178
C -1.67 0.50 -1.13  -0.130
C -2.89 1.16 -1.15  -0.217
C -2.94 2.56 -1.32  -0.162
C -1.73 3.27 -1.40  -0.240
C -0.49 2.60 -1.35  -0.104
C 2.62 2.24 -0.91  -0.215
H 5.97 1.68 -1.64  0.244
H 5.16 -0.67 -1.28  0.228
H 2.77 -1.10 -0.79  0.246
H 0.72 -0.48 -1.83  0.238
H -1.62 -0.58 -1.02  0.232
H -3.81 0.57 -1.07  0.228
H -3.91 3.04 -1.46  0.225
H -1.78 4.36 -1.55  0.225
H 0.40 3.20 -1.45  0.203
H 2.04 3.11 -0.58  0.239
O -2.66 -0.39 4.11  -0.383
N -2.77 -1.61 3.87  0.494
O -3.54 -2.36 4.51  -0.391
C -2.00 -2.22 2.79  0.084
C -2.21 -3.58 2.51  -0.244
C -1.55 -4.13 1.41  -0.222
C -0.62 -3.36 0.69  -0.256
C -0.30 -1.93 0.93  0.359
O 0.53 -1.20 0.26  -0.699
C -1.16 -1.42 2.01  -0.290
H -2.92 -4.12 3.13  0.246
H -1.79 -5.18 1.17  0.224
H -0.10 -3.81 -0.15  0.207
H -1.18 -0.35 2.17  0.236

Calculated values
- Electronic energy: -1112.54543 Eh
- Max |F|: 4.29 eV/A
- Total charge: 0
- ΔE to the lowest compared entry with this formula, charge and spin: 58.2 kJ/mol
- Highest occupied orbital energy: -7.786 eV


# 2
C19H14O2OsPSe4 | ωB97M-V/def2-TZVPD

Each line ends with the natural charge from an NBO analysis.
Element x y z (Å)
Os -1.73 -1.41 1.67  0.294
O -4.20 -0.78 -1.43  -0.494
C -3.10 -1.04 -1.05  0.779
O -3.00 -1.53 0.25  -0.725
C -1.89 -0.93 -1.90  -0.167
C -2.11 -1.08 -3.27  -0.135
C -1.07 -0.99 -4.17  -0.175
C 0.21 -0.73 -3.72  -0.194
C 0.45 -0.55 -2.37  -0.128
C -0.59 -0.67 -1.44  -0.381
P -0.25 -0.28 0.29  1.174
C -0.39 1.52 0.39  -0.433
C 0.67 2.33 -0.02  -0.181
C 0.53 3.71 -0.03  -0.197
C -0.68 4.28 0.36  -0.165
C -1.74 3.48 0.74  -0.216
C -1.60 2.10 0.76  -0.115
C 1.45 -0.75 0.62  -0.428
C 1.95 -1.94 0.09  -0.140
C 3.22 -2.38 0.45  -0.217
C 3.99 -1.65 1.34  -0.171
C 3.48 -0.48 1.89  -0.199
C 2.22 -0.03 1.54  -0.197
H -3.12 -1.27 -3.60  0.251
H -1.26 -1.13 -5.23  0.236
H 1.03 -0.64 -4.42  0.233
H 1.45 -0.32 -2.03  0.217
H 1.61 1.89 -0.34  0.224
H 1.35 4.33 -0.34  0.232